December 2012
In this issue: A clothing distribution helps hundreds in Staten Island; crafting for ministry; congregational milestones and much more!
- Central Putz featured on 2012 Christmas City Seal
- From our Staten Island churches
- Annual clothing drive helps Staten Island residents feel blessed
- Prayer shawl ministry spreads to ever-widening circle
- Paraments for churches: Looking for God in other places
- Conference attracts Moravian scholars from around the globe
- The fog is lifting in Labrador
- Oak Grove celebrates 125 years
- Schoeneck Moravian: 250 years of worship and mission
- Ponderings: Weathering the Storm
- Obituaries
- Official Provincial Elders’ News
- 2012 Index of The Moravian
November 2012
In this issue: we feature 25 years of Moravian Open Door, using the Daily Texts, ministry to older adults and more!
- Project delivers Moravian books to libraries around the globe
- MOD celebrates 25 years of helping homeless help themselves
- The Moravian Church in Nepal: A people of hope and newness
- Operation Supply Train makes its first delivery
- Episcopal Church welcomes Moravian pastor in historic example of communion
- Celebrating the Moravian Spirit at the second Moravian Festival
- Using the 2013 Moravian Daily Texts
- Salemtowne: Forty years strong…and stronger
- Marquardt Village announces renovation and redevelopment plans
- Ponderings: That song stuck in my head
- Official Provincial Elders’ News
- Statistics of the Moravian Church in U.S. and Canada
October 2012
In this issue: Historic Bethabara, remembering Andy Griffith, visiting the Board of Coorperative Ministries and more!
- Historic Moravian palisade in North Carolina in need of protection
- Ephraim Moravian proves an “old dog can learn new tricks:
- Covenant Moravian Church focuses on communicating
- Remembering the Moravian roots of a television legend
- Scouting and the Moravian Church
[Someone pasted crystal structures at this point]
........
A relaxed structure of Ti2RePt, computed with meta-GGA r2SCAN.

The space group is P4/mmm (No. 123) and the conventional cell measures 3.169, 3.169 and 6.099 Å, with angles of 90.00, 90.00 and 90.00 degrees. Symmetry generates all atoms from Ti at (0.000, 0.000, 0.242), Re at (0.500, 0.500, 0.000) and Pt at (0.500, 0.500, 0.500).

As for the uncorrected energy: -33.2537 eV/atom. Its magnetic moment is 0.000 μB/f.u.

A relaxed structure of Rb3RhF6, computed with meta-GGA r2SCAN.

The space group is Fm-3m (No. 225) and the conventional cell measures 9.113, 9.113 and 9.113 Å, with angles of 90.00, 90.00 and 90.00 degrees. Symmetry generates all atoms from Rb at (0.000, 0.000, 0.000), Rb at (0.250, 0.250, 0.250), Rh at (0.000, 0.000, 0.500) and F at (0.000, 0.000, 0.283).

As for the uncorrected energy: -11.0330 eV/atom. Its magnetic moment is 0.000 μB/f.u.

A relaxed structure of Yb2CdGe, computed with meta-GGA r2SCAN.

The space group is Fm-3m (No. 225) and the conventional cell measures 7.125, 7.125 and 7.125 Å, with angles of 90.00, 90.00 and 90.00 degrees. Symmetry generates all atoms from Yb at (0.250, 0.250, 0.250), Cd at (0.000, 0.000, 0.000) and Ge at (0.000, 0.000, 0.500).

As for the uncorrected energy: -27.2327 eV/atom. Its magnetic moment is 0.000 μB/f.u.

~~~~~

Entry from Materials Project: a relaxed structure of CaMg149 (GGA-PBE).

Properties
**Crystal system**: hexagonal
**ΔE_f**: -0.03 eV per atom
**Density**: 1.75 g cm⁻³
**SG**: No. 187

Lattice parameters (Å, degrees): 15.9846 15.9846 15.6569 90.00 90.00 120.00
With the nearest neighbours (Å) after each atom.
Fractional coordinates of all 150 atoms:
Ca: 0.0000 0.0000 0.0000  12 Mg 3.28
Mg: 0.6001 0.2003 0.0000  12 Mg 3.19-3.20
Mg: 0.4009 0.2005 0.0000  12 Mg 3.19-3.21
Mg: 0.7995 0.2005 0.0000  12 Mg 3.19-3.21
Mg: 0.0025 0.2064 0.0000  11 Mg 3.13-3.34, 1 Ca 3.28
Mg: 0.2039 0.2064 0.0000  11 Mg 3.13-3.34, 1 Ca 3.28
Mg: 0.6001 0.3999 0.0000  12 Mg 3.19-3.20
Mg: 0.7997 0.3999 0.0000  12 Mg 3.19-3.20
Mg: 0.0002 0.4011 0.0000  12 Mg 3.13-3.21
Mg: 0.4008 0.4011 0.0000  12 Mg 3.13-3.21
Mg: 0.2016 0.4031 0.0000  12 Mg 3.16-3.21
Mg: 0.7995 0.5991 0.0000  12 Mg 3.19-3.21
Mg: 0.0002 0.5992 0.0000  12 Mg 3.13-3.21
Mg: 0.5989 0.5992 0.0000  12 Mg 3.13-3.21
Mg: 0.2006 0.6003 0.0000  12 Mg 3.16-3.21
Mg: 0.3997 0.6003 0.0000  12 Mg 3.16-3.21
Mg: 0.7936 0.7961 0.0000  11 Mg 3.13-3.34, 1 Ca 3.28
Mg: 0.0025 0.7961 0.0000  11 Mg 3.13-3.34, 1 Ca 3.28
Mg: 0.5969 0.7984 0.0000  12 Mg 3.16-3.21
Mg: 0.2016 0.7984 0.0000  12 Mg 3.16-3.21
Mg: 0.3997 0.7994 0.0000  12 Mg 3.16-3.21
Mg: 0.7936 0.9975 0.0000  11 Mg 3.13-3.34, 1 Ca 3.28
Mg: 0.2039 0.9975 0.0000  11 Mg 3.13-3.34, 1 Ca 3.28
Mg: 0.4008 0.9998 0.0000  12 Mg 3.13-3.21
Mg: 0.5989 0.9998 0.0000  12 Mg 3.13-3.21
Mg: 0.2643 0.1321 0.1652  12 Mg 3.17-3.23
Mg: 0.8679 0.1321 0.1652  12 Mg 3.17-3.23
Mg: 0.8679 0.7357 0.1652  12 Mg 3.17-3.23
Mg: 0.6667 0.3333 0.1663  12 Mg 3.19-3.21
Mg: 0.4659 0.1331 0.1666  12 Mg 3.19-3.22
........
- The Order of David Zeisberger
- Building, Connecting, Mobilizing
- In appreciation for a generation of leadership
- Connecting with Moravian youth at Convo 2013
- Evangelism to the Sukuma
- Ponderings: An Intern’s Story: How I spent my summer vacation
- Official Provincial Elders’ News
September 2012
In this issue we feature the Eastern District Synod of 2012, Moravian Music, milestone celebrations, Congregational outreach and more!
- Eastern District Synod stimulates and strengthens the work of the Lord
- Eastern District elects executive board for next four years
- A school helps a church “be the church” Monday through Friday
- Learning for a Lifetime: The Comenius Forum at Central Moravian Church
- A Century of Service: Trinity Moravian Church turns 100
- Dr. Nola Reed Knouse: Helping to keep Moravian music alive and well
- Renovations preserve link to missionary past
- Erwin Boettcher: Celebrating 60 years of ordination
- Moravian Theological Seminary awards Wayne Burkette in the 2012 John Hus Award
- The Moravians in Mississippi: Seven years of service to repair Katrina’s damage
- The recharging power of salt water and Synods
- Upcoming Events: Fall events offer a wealth of Moravian culture and heritage
- Official Provincial Elders’ News
- Obituaries
July/August 2012
In this issue we feature the commencement at Moravian Theological Seminary, the Southern Province Intersynodal Gathering, the Canadian District Synod, and more!
- Moravian Theological Seminary concludes 205th academic year
- Intersynodal Gathering: Moving Forward Together
- Open the eyes of our heart, Lord: impressions of the Intersynodal Gathering
- We Gathered Together: impressions of the Intersynodal Gathering
- Canadian District finds God speaking in newness, faithfulness and oneness
- Synod elects Board of Elders for Canadian District
- Clean Water Project brings new wells to Nicaragua
- A new airplane hangar for Alas de Socorrro
- First Moravian celebrates music director’s 50 years
- Bethlehem to host 24th Moravian Music Festival in July 2013
- IBOC introduces enhanced Moravian Church in North America web site
- Ponderings: Welcoming Jodi Bortz
- Official Provincial Elders’ News
- Obituary: Mrs. Clement E. Semper
June 2012
In this issue we feature the Western District Synod, Guidelines for Biblical Interpretation, the third annual Environmental Stewardship Conference and more!
- Guided by Ephesians, building up the body of Christ
- Western District Synod elects new executive board
- Moravian Open Door launches breakfast program
- Faith & Order Commission presents Guiding Principles of Biblical Interpretation
**Unrelated to this article: records of crystals:**
# 1
First-principles (PBE) data for a relaxed LiEr4Zr4O14 crystal, as listed in Materials Project.

Cell: 3.6255 7.5370 10.7030 Å, 90.00 90.00 90.00°
Space group Pmm2 (No. 25)
Symmetry-distinct sites (fractional):
Li: 0.0000 0.0000 0.0000 x1
Er: 0.0000 0.0000 0.2694 x1
Er: 0.0000 0.5000 0.7297 x1
Er: 0.5000 0.2720 0.9888 x2
Zr: 0.0000 0.0000 0.7457 x1
Zr: 0.0000 0.5000 0.2544 x1
Zr: 0.5000 0.2604 0.4942 x2
O: 0.0000 0.1972 0.1071 x2
O: 0.0000 0.2343 0.5940 x2
O: 0.0000 0.2545 0.8469 x2
O: 0.0000 0.2679 0.3558 x2
O: 0.5000 0.0000 0.3899 x1
O: 0.5000 0.0000 0.6544 x1
O: 0.5000 0.0000 0.9189 x1
O: 0.5000 0.5000 0.1372 x1
O: 0.5000 0.5000 0.3852 x1
O: 0.5000 0.5000 0.6201 x1

Calculated values
The relative energy among the computed polymorphs comes out at 0.000 eV per atom. The total energy comes out at -8.588 eV/atom. For the formation energy, the calculation gives -3.630 eV per atom. As for the crystal system: orthorhombic.

# 2
First-principles (PBE) data for a relaxed LiEr4Zr4O14 crystal, as listed in Materials Project.

Cell: 7.7438 3.5426 10.7938 Å, 90.00 91.39 90.00°
Space group Pm (No. 6)
Symmetry-distinct sites (fractional):
Li: 0.0000 0.0000 0.0000 x1
Er: 0.0065 0.0000 0.2677 x1
Er: 0.2390 0.5000 0.5402 x1
Er: 0.5131 0.0000 0.2750 x1
Er: 0.7242 0.5000 0.0072 x1
Zr: 0.2749 0.5000 0.0415 x1
Zr: 0.4991 0.0000 0.7740 x1
Zr: 0.7107 0.5000 0.5260 x1
Zr: 0.9747 0.0000 0.7432 x1
O: 0.0893 0.5000 0.3673 x1
O: 0.2197 0.0000 0.9372 x1
O: 0.2312 0.0000 0.6627 x1
O: 0.2596 0.0000 0.1767 x1
O: 0.4637 0.5000 0.8877 x1
O: 0.4759 0.5000 0.4058 x1
O: 0.4963 0.5000 0.6500 x1
O: 0.5181 0.5000 0.1393 x1
O: 0.7244 0.0000 0.6556 x1
O: 0.7258 0.0000 0.8956 x1
O: 0.7593 0.0000 0.4086 x1
O: 0.9665 0.5000 0.6030 x1
O: 0.9709 0.5000 0.8438 x1
O: 0.9936 0.5000 0.0994 x1

Calculated values
The relative energy among the computed polymorphs comes out at 0.015 eV per atom. The total energy comes out at -8.573 eV/atom. For the formation energy, the calculation gives -3.615 eV per atom. As for the crystal system: monoclinic.

# 3
First-principles (PBE) data for a relaxed LiEr4Zr4O14 crystal, as listed in Materials Project.

Cell: 3.6299 7.5387 10.7120 Å, 90.00 90.46 90.00°
Space group Pm (No. 6)
Symmetry-distinct sites (fractional):
Li: 0.0000 0.0000 0.0000 x1
Er: 0.4948 0.2725 0.0129 x2
Er: 0.9722 0.0000 0.7322 x1
Er: 0.9768 0.5000 0.2724 x1
Zr: 0.4752 0.2607 0.5077 x2
Zr: 0.9638 0.0000 0.2553 x1
Zr: 0.9772 0.5000 0.7480 x1
O: 0.4659 0.5000 0.6168 x1
O: 0.4675 0.0000 0.6114 x1
O: 0.4715 0.0000 0.3453 x1
O: 0.4774 0.5000 0.3817 x1
O: 0.4836 0.5000 0.8650 x1
O: 0.5072 0.0000 0.0805 x1
O: 0.9645 0.2679 0.6462 x2
O: 0.9715 0.2342 0.4082 x2
O: 0.9925 0.1984 0.8941 x2
O: 0.9956 0.2548 0.1548 x2

Calculated values
The relative energy among the computed polymorphs comes out at 0.000 eV per atom. The total energy comes out at -8.587 eV/atom. For the formation energy, the calculation gives -3.630 eV per atom. As for the crystal system: monoclinic.

# 4
- Environmental Stewardship Conference shares need to care for nature
- Spiritual Life Retreat brings peace, fellowship for Southern Provincial Women
- Bringing the 2013 Moravian Daily Texts into the digital realm
- Ponderings: Travel offers wonders and blessings
These calculated crystals were left in the piece by mistake:
<<<
1.
Li4Fe3CoO8: optimized geometry, GGA+U.

Properties
Energy of formation: -1.8850 eV/atom
Corrected total energy (MP2020 scheme): -6.87 eV/atom

```
16
Lattice="5.1722 -2.9460 0.0000 5.1722 2.9460 0.0000 -1.6904 0.0000 4.8102" Properties=species:S:1:pos:R:3 pbc="T T T"
Li 2.5861 1.4730 0.0000
Li 1.7446 0.0000 2.2812
Li 2.5861 -1.4730 0.0000
Li 6.9093 0.0000 2.5290
Fe 4.3269 1.4943 2.4051
Fe 5.1722 0.0000 0.0000
Fe 4.3269 -1.4943 2.4051
Co 0.0000 0.0000 0.0000
O -0.1124 0.0000 3.6308
O 2.7203 1.5284 3.6699
O 5.9336 1.5284 1.1404
O 3.5382 0.0000 1.2424
O 5.1157 0.0000 3.5678
O 2.7203 -1.5284 3.6699
O 5.9336 -1.5284 1.1404
O 8.7663 0.0000 1.1794
```



2.
LiFe2Co2O8: optimized geometry, GGA+U.

Properties
Energy of formation: -1.3567 eV/atom
Corrected total energy (MP2020 scheme): -6.95 eV/atom

```
13
Lattice="5.0640 -2.8642 0.0000 5.0640 2.8642 0.0000 -3.4814 0.0000 4.8386" Properties=species:S:1:pos:R:3 pbc="T T T"
Li 0.0000 0.0000 0.0000
Fe 5.0640 0.0000 0.0000
Fe 3.3233 0.0000 2.4193
Co 2.5320 1.4321 0.0000
Co 2.5320 -1.4321 0.0000
O 4.0991 1.3411 1.0470
O 1.8244 0.0000 1.0384
O -0.2034 0.0000 3.8556
O 2.5476 1.3411 3.7917
O 4.0991 -1.3411 1.0470
O 6.8500 0.0000 0.9830
O 4.8222 0.0000 3.8002
O 2.5476 -1.3411 3.7917
```



3.
Li3FeCo3O8: optimized geometry, GGA+U.

Properties
Energy of formation: -1.5747 eV/atom
Corrected total energy (MP2020 scheme): -6.58 eV/atom

```
15
Lattice="2.9485 1.7023 4.9075 -2.9485 1.7023 4.9075 0.0000 -3.4046 4.9075" Properties=species:S:1:pos:R:3 pbc="T T T"
Li -1.4742 -0.8512 4.9075
Li -1.4742 0.8512 9.8150
Li 0.0000 1.7023 4.9075
Fe 0.0000 0.0000 7.3613
Co -2.9485 0.0000 7.3613
Co -1.4742 0.8512 2.4538
Co 1.4742 0.8512 2.4538
O 0.0000 0.0000 3.5992
O -1.4375 -0.8299 8.4228
O 0.0000 -1.6599 6.2998
O -1.4375 0.8299 6.2998
O 1.4375 -0.8299 8.4228
O 0.0000 1.6599 8.4228
O 1.4375 0.8299 6.2998
O 0.0000 0.0000 11.1234
```



4.
Li4Fe3CoO8: optimized geometry, GGA+U.

Properties
Energy of formation: -1.8702 eV/atom
Corrected total energy (MP2020 scheme): -6.85 eV/atom

```
32
Lattice="5.9676 0.0000 0.0000 0.0091 5.9896 0.0000 0.0025 0.0657 8.3391" Properties=species:S:1:pos:R:3 pbc="T T T"
Li 0.0000 0.0000 0.0000
Li 0.0062 3.0280 4.1637
Li 1.4842 1.5568 6.2559
Li 1.5038 4.5105 2.0714
Li 2.9846 0.0007 0.0016
Li 2.9903 3.0296 4.1676
Li 4.4806 1.5416 6.2632
Li 4.4911 4.4971 2.0788
Fe 0.0128 6.0169 4.1635
Fe 1.4918 1.5135 2.0762
Fe 1.4985 4.5406 6.2671
Fe 2.9939 3.0535 8.3379
Fe 4.4818 1.5110 2.0768
Fe 4.4899 4.5368 6.2641
Co 0.0060 2.9927 0.0017
Co 2.9862 0.0363 4.1705
O 5.9770 5.9410 6.2106
O 0.0041 0.1026 2.1200
O 0.0103 3.1141 6.4066
O 1.4712 1.4601 4.1117
O 1.4791 4.5961 4.2336
O 1.5126 4.4729 8.2835
O 1.5107 1.5764 0.0505
O 2.9854 2.9154 2.0317
O 2.9874 0.0866 2.1915
O 2.9940 5.9624 6.1270
O 2.9942 3.1390 6.2978
O 4.4624 1.5731 0.0509
O 4.4779 4.4700 8.2826
O 4.5032 1.4622 4.1083
O 4.5096 4.5976 4.2290
O 5.9695 2.9316 1.9351
```



5.
Li6Fe5CoO12: optimized geometry, GGA+U.

Properties
>>>
Here the piece continues:
- Official Provincial Elders’ News
- Obituary: The Rt. Rev. Warren A. Sautebin
May 2012
In this issue: Moravian Camping Minstry; Latino Ministries Conference addresses expanding minstry; A Moravian and Muslim answer an Imam’s request; and more!
- Spiritual growth in the great outdoors
- Hope Center: Memories are made here
- Laurel Ridge invites campers to spend time on the mountain
- I got a song in my heart and I want to share it with you…
- Mid-states ministry offers camping for Ohio, Michigan, Indiana and Illinois
- “Come, Follow Me” to Camp Van-Es
- Western District Camping 2012
- Mt. Morris ready to Raise the Roof!
- Working together to promote Moravian history
- A Moravian and Muslim answer an Imam’s request
- Latino Ministries Conference addresses expanding ministry
- Ponderings: Yes, I’ve been to Laurel Ridge
- What does it mean to be Moravian? An invitation to share
- Book Review: “Less Clutter. Less Noise.” by Kem Meyer
- Official Provincial Elders’ News
April 2012
In this month’s issue: Interpreting scripture through painting, Moravians in mission, Easter traditions, the Moravian Covenant for Christian Living and more!
- The Easter Morning Sunrise Service
- Dover First Moravian Church: Painting the Lenten Scriptures
- Ocean Springs team continues its work rebuilding lives
- Unity and Southern Province delegation travels to Cuba
- Tanzania Orphan Projram enters its twelfth year
- Sukuma join the Moravian Church in Tanzania
- The Moravian Covenant for Christian Living
- New music submissions accepted through July 31, 2012
- Ponderings: Lenten Services offer prayer, learning….and soup!
- News Shorts: Church celebrates 555 years, Leatherbound Moravian Book of Worship
- Official Provincial Elders’ News
March 2012
In this issue: Preview of 2012 Synods and Gatherings; Efforts to support Star Mountain Rehabilitation Center in the West Bank; “Bring Your Own Bible;” and more!
- Annie B. Mission: Raising funds for a speech therapist at Star Mountain
- We want to hear the children speak…
- A mission, a hospital, a symbol of peaceful cooperation
- Spring 2012 Moravian Church Synod Preview
- Moravian pastor honored with Winston-Salem’s MLK Young Dreamer Award
- Lifelong Moravian Wilma Lewis appointed federal judge in Virgin Islands
- A Feast of Song: Central Moravian Church Choir tours Jamaica
- B.Y.O.B. Sunday— that’s Bring Your Own Bible!
- Conference on Moravian History and Music coming to Bethlehem in October
- Southern Province seeks staff for Board of Cooperative Ministries
- Ponderings: Nature’s sounds fuel creativity and focus
- Official Provincial Elders’ News
- Obituaries
- Northern Province Society for Promoting the Gospel offers grants
January/February 2012
In this issue: Moravians in Tanzania, Celebrating 70 Years of Camp VanEs, A Restored Moravian Art Treasure, and more!
- Moravian Youth “Stand Up For Jesus”
- Marquardt Village: Preserving the past, embracing the future
- Faith, purpose drive runner in New York City Marathon
- Camp Van Es Turns 70
- Welcoming back a restored Moravian art treasure
- Mwana Kondoo Ameshinda, Tumfuate
- Compassion Mission: Do We Give a Fish or Provide a Net?
- Ponderings: Hitting the calendar’s reset button
- Commentary: Continuing to serve in old and new places
- Official Provincial Elders’ News